At least 386
minors were removed from harm's way, said Inspector Joanna
Beaven-Desjardins, left,
commander of the Toronto police sex crimes unit.
Police deserve credit for taking down
an international pedophile-child porn ring
with links to Jewish organized crime.
Is there something in Jewish culture or religion that results in disproportionate tendency to pedophilia? Is this
tendency contaminating society at large?
By Salman Hossain
For the last three years, Canadian police have done an amazing job in targeting international child porn networks based in Canada, the United States, and other countries.

Project Spade is the name of an international investigation involving the making and selling of videos and images over the internet involving minors (below the age of 18). The police announced Nov. 14 the arrest of almost 350 people and the rescue of over 400 children. The international network of child porn producers and distributors was directed by the International Jewish mob. The key protagonists in this particular case are Markus Roth of Germany and Brian Way of Canada. Brian Way's mom, Sandra Waslov was also involved in setting up the joint operation with her son running and managing operations. She has been indicted and is currently a fugitive on the run.
How did Way come into the police radar? Well, another fellow Jew by the name of David Eisenlohr, similarly involved in pederasty complained to the US Patent and Trademark office that Brian aka Steve Way was stealing and selling his videos on the Internet.

These records of crystals were left in the article by mistake:
~~~
Record 1
Compound: HfZn2
Source: the Materials Project
Functional: r²SCAN
Structure: relaxed

Values from the calculation:
The value obtained for the formation energy is -0.28 eV/atom. Its total DFT energy (no corrections) is -21.268 eV per atom.

a b c (Å): 5.1606 5.1606 16.7607
angles (deg): 90.00 90.00 120.00
Space group P6_3/mmc (No. 194)
Asymmetric unit:
Hf 0.0000 0.0000 0.0920 x4
Hf 0.3333 0.6667 0.1562 x4
Zn 0.0000 0.5000 0.0000 x6
Zn 0.1616 0.3232 0.7500 x6
Zn 0.3333 0.6667 0.6269 x4

---

Record 2
Compound: MgMoF6
Source: the Materials Project
Functional: r²SCAN
Structure: relaxed

Values from the calculation:
The value obtained for the formation energy is -3.10 eV/atom. Its total DFT energy (no corrections) is -9.228 eV per atom.

a b c (Å): 5.1050 5.1050 13.9156
angles (deg): 90.00 90.00 120.00
Space group R-3 (No. 148, hexagonal axes)
Asymmetric unit:
Mg 0.0000 0.0000 0.0000 x3
Mo 0.0000 0.0000 0.5000 x3
F 0.0042 0.6204 0.2506 x18

---

Record 3
Compound: TbPt2
Source: the Materials Project
Functional: r²SCAN
Structure: relaxed

Values from the calculation:
The value obtained for the formation energy is -1.22 eV/atom. Its total DFT energy (no corrections) is -45.951 eV per atom.

a b c (Å): 7.652 7.652 7.652
angles (deg): 90.00 90.00 90.00
Space group Fd-3m (No. 227, origin choice 2)
Asymmetric unit:
Tb 0.125 0.125 0.125 x8
Pt 0.000 0.000 0.500 x16

---

| no. | spin magnetization (μB/f.u.) |
| --- | --- |
| 1 | 1.04 |
| 2 | 2.00 |
| 3 | 0.00 |

=====

No. 1
# ZnFe8O12 | the Materials Project database | PBE+U | optimized geometry
# Energy of formation: -1627 meV per atom
# Calculated total energy: -817.636 eV per cell
# Energy with MP2020 corrections: -975.39 eV/cell
data_ZnFe8O12
_chemical_formula_sum 'Zn6 Fe48 O72'
_space_group_name_H-M_alt 'P 1'
_space_group_IT_number 1
_cell_length_a 6.0791
_cell_length_b 6.0792
_cell_length_c 44.5220
_cell_angle_alpha 90.01
_cell_angle_beta 90.02
_cell_angle_gamma 119.93
loop_
_space_group_symop_operation_xyz
'x,y,z'
loop_
_atom_site_label
_atom_site_type_symbol
_atom_site_fract_x
_atom_site_fract_y
_atom_site_fract_z
Zn1 Zn 0.0000 0.0000 0.0000
Zn2 Zn 0.0011 0.0014 0.9198
Zn3 Zn 0.0034 0.0000 0.6676
Zn4 Zn 0.3342 0.6674 0.7794
Zn5 Zn 0.3361 0.6714 0.1129
Zn6 Zn 0.6679 0.3335 0.8913
Fe1 Fe 0.0012 0.0016 0.7930
Fe2 Fe 0.0013 0.0044 0.5861
Fe3 Fe 0.0009 0.5007 0.2940
Fe4 Fe 0.0019 0.0036 0.1264
Fe5 Fe 0.0022 0.5034 0.6273
Fe6 Fe 0.0028 0.5028 0.9594
Fe7 Fe 0.0061 0.0013 0.3350
Fe8 Fe 0.1680 0.3338 0.1828
Fe9 Fe 0.1676 0.8344 0.5162
Fe10 Fe 0.1688 0.3363 0.5163
Fe11 Fe 0.1692 0.8315 0.1829
Fe12 Fe 0.1707 0.3389 0.8500
Fe13 Fe 0.1706 0.8328 0.8501
Fe14 Fe 0.3289 0.6672 0.3631
Fe15 Fe 0.3310 0.6667 0.6955
Fe16 Fe 0.3328 0.1663 0.7378
Fe17 Fe 0.3331 0.6674 0.4463
Fe18 Fe 0.3335 0.1685 0.0709
Fe19 Fe 0.3338 0.6651 0.2380
Fe20 Fe 0.3363 0.6707 0.0291
Fe21 Fe 0.3370 0.6712 0.9050
Fe22 Fe 0.3382 0.6666 0.5719
Fe23 Fe 0.3385 0.1706 0.4036
Fe24 Fe 0.4990 0.5019 0.9595
Fe25 Fe 0.4999 0.0005 0.9601
~~~
Other Jewish characters like Markus Roth exploited poor and vulnerable young boys from villages in Romania under the guise of giving martial arts classes. He coerced/manipulated them into engaging in sexual acts. In August 201o, Mr. Roth was sentenced to three years of prison for taking more than 100 pornographic films of children. Authorities said the films were sold to Canada at $1,000 a piece.
He carried out such activities with former KGB Soviet Ukrainian Jewish spy Igor Rusanov, left, who was arrested in 2011. Rusanov is said to have had sex with many of the boys. Rusanov is suspected of having links to the Russian-Israeli Mafia. Their company (Azovfilm) client list resulted in many arrests.
Other Jews caught in the sweep include the pederast Dr. Mark Shaffer. Shaffer was arrested after U.S. Postal Inspectors knocked on the door of his home in Aurora, Ohio, about 40 kilometres southeast of Cleveland, looking for films purchased from the Canadian site.
Also arrested was David Goldberg, who wrote an article entitled "I Pedophile" on The Atlantic suggesting that pedophiles need help instead of prison. "No one who is a pedophile wants to get caught and have their horrifying secret revealed to the world," David Goldberg, a respected Montreal community newspaper editor and a popular former minor baseball coach, wrote in an astonishingly frank confession in the American magazine.
"For almost 20 years, I spent virtually every night of my life in the same manner: Sitting in front of my computer . . . trawling the Internet for child pornography," Goldberg wrote in the August edition of the Atlantic. "Nothing would stop me from continuing this perverse pursuit."
But something did: His arrest, in June 2012, as part of Project Spade. He insisted that "the majority of pedophiles do not molest but instead spend hours looking at child pornography" and asked: "Will the day ever come when we, as a society, reach out and offer them the help they so desperately need?"
For two decades, Dr. Richard Keller was the medical director at Philips Academy in Andover MA, one of the most prestigious private high schools in the United States, attended by both G.W. Bush and his father. Keller was also a volunteer at
Jewish Big Brothers of Greater Boston.
He had also been trying, and failing, to control his urge to look at child pornography. Legal documents filed in his case said he had a "long-standing sexual interest in adolescents since the early 1970s."
As an alleged customer of Azovfilms, Keller was arrested by U.S. Postal Inspectors as part of Project Spade. He was charged with possession and receipt of child pornography.
According to legal documents filed with U.S. District Court in Massachusetts, Keller spent $2,695 on 50 separate titles, bought on 19 different occasions. The affidavit of an investigator describes one of the films he purchased: "we . . . bring you . . . action-packed discs of ooey-gooey slippery goodness."
During a search of his home, police found 500 images, printed on high-gloss paper, as well as another 60 DVDs of child pornography. As part of the plea agreement, Keller admitted he had a "long-standing sexual interest in adolescents since the early 1970s. Keller admits to viewing child pornography on the Internet, and that he has previously tried to stop, but failed to do so."

Dr. Mark Shaffer, 80, caught by Project Spade.) There seems to be a strange fascination by some members of the Jewish community - both on an elite and mainstream level with the sexual exploitation of minors - especially boys (but also girls). The Talmud has directives on molesting babies and toddlers. Rabbis routinely engage in oral suction during circumcision. That can also be classified as a form of sexually deviant behavior with minors that often lead to sexually transmitted infections (STI).
Until recently, law enforcement had been bribed or pressured in the past by the B'nai Brith/ADL to either not prosecute the offenders or give light sentences to them. I strongly suspect that the Mi-6 and Scotland Yard are protecting them while they are still alive as publicizing their names would result in many more individuals with Jewish ancestry being exposed. Perfect examples would be Crypto-Jews ("Catholic Jews") like Jimmy Savile (who was of Jewish descent). My personal hunch is that Jewish bankers based in the City of London, have an important role to play in propping up, facilitating, operating, covering up, and protecting child porn rings often under the direct supervision of the security establishment.
So far, 108 people in Canada, 76 in the United States and 164 in other countries during the investigation have been arrested and charged. The strange thing is that, nobody from the United Kingdom has faced prosecution as of yet despite the fact that it is a hub of international child prostitution, pederasty, and pedophilia!
Once again, a hat tip to the Canadian police for their efforts in busting the world's greatest child porn ring. One of the greatest things about mainstream Western culture is its abhorrence for the exploitation of minors. The Canadian police, in conjunction with others, have done a commendable job for once.
I hope the last great bastion of child sexual exploitation (the United Kingdom) is also taken down.
Makow comment- Self criticism is not self-hatred. Jews need to be critical of other Jews who are perverts or they will be tarred by the same brush.
First Comment from Dan:
It's a routine 'cosmetic' raid. Child sex trafficking involves millions of victims. Taboo-felony sex rings are the stock in trade for grooming politicians that get the big PAC money for promotion straight to the top. I learned this from somebody who I knew in DC 35 years ago. For ZOG it's strictly business - the ultimate blackmail racket.
Your Markus Roth's or Brian Way's are small fry.
The closest the whole thing came to being properly exposed was during the 1980's - MKULTRA, Col. Aquino - charged twice, in TWO different pedophile ring cases (Presidio, and Franklin case in Omaha).
HUNDREDS of victims - testimony dismissed when the Supreme Court ruled a minor's testimony was inadmissible - PLUS the court acceptance of "False Memory Syndrome" do that no SRA, or MKULTRA victim's testimony can ever be used in court.
Pedophile charges have thus become an instrument for ruining targeted people, while connected, favoured perps are untouchable.
Comment by Stephen Coleman:
Pedophilia can be treated and cured, but meanwhile keep them locked up where they can't hurt anybody. The jails and prisons are still in the dark ages as far as helping inmates with mental disorders. In fact most prisons do little or nothing to help and usually make matters worse.
People are still in the dark ages that want to lash out and punish. Punishing may feel good for a day or two, but it can't cure mental disorders and when they leave prison they still have the problem with more trauma piled on top. The dangerous mentally ill should not be released from custody until they are healthy, period.
Victims can be easily helped and get rid of the trauma, there is no need to continue to suffer for decades.
The laws of requiring professionals and clergy to report abuse to law authorities actually does more harm than good. Victims don't want to be dragged through courts and publicly recount their traumas and abusers that want help cannot get help without going to prison or worse.
I have worked with cases where the trauma of courts and police dealing with a child victim was worse than the actual crime.
I have come to the conclusion that the legal system is not about honesty, rehabilitation nor justice. Its just about money.
Stephen Coleman
David said (January 7, 2014):
Only in recent years have I become aware of how pervasive these international pedophile rings are. Exposure of this evil also gives us a window into the kind of people who seek political office and positions of authority in the modern world.
Just finished the first volume of British author Jeffrey Archer's prison memoirs, which includes the revelations of a fellow inmate who -- from the age of 13 -- was pimped out to (quote) "judges, schoolmasters, police officers, politicians and other upstanding citizens who are the backbone of our country" (end quote).
Archer notes this inmate's story is by no means isolated. Prisons in the Western world are filled with casualties like this, systematically abused by prominent people who then use their influence and networking to keep this all hidden. Until now.
If you pick up the book, A Prison Diary, ISBN 978 0312 321 864, start reading from p. 221. You'll understand the rage Archer felt after he heard "Fletch's" story and why he was determined to publish it for the world to know.